

Study on Lithofacies Paleographic Evolution of Late Triassic-Neogene Sequence in Mid-Yangtze Region

-- begin --
No. 1
GeAs2WSe after structural relaxation. Source: Alexandria via LeMat-Bulk, functional GGA-PBE.

Structure (POSCAR):
```
GeAs2WSe
1.0
4.8888 0.0000 0.0000
0.0000 4.8888 0.0000
0.0000 0.0000 5.0126
Ge As W Se
1 2 1 1
direct
0.0000 0.0000 0.0000
0.0000 0.5000 0.5000
0.5000 0.0000 0.5000
0.5000 0.5000 0.5000
0.5000 0.5000 0.0000
```

Results
Theoretical density in g/cm3: 6.726
Energy relative to the lowest polymorph listed for this composition in eV/atom: 0.000
DOS at the Fermi energy in states/eV/cell: 4.31
ΔE_f (raw) in eV/atom: 0.626
Calculated volume in Å³/cell: 119.80



No. 2
SmFe2GeN after structural relaxation. Source: Alexandria via LeMat-Bulk, functional GGA-PBE.

Structure (POSCAR):
```
SmFe2GeN
1.0
1.8987 -5.3320 0.0000
1.8987 5.3320 0.0000
0.0000 0.0000 6.8995
Sm Fe Ge N
2 4 2 2
direct
0.0505 0.9495 0.7500
0.9495 0.0505 0.2500
0.3401 0.6599 0.5580
0.3401 0.6599 0.9420
0.6599 0.3401 0.0580
0.6599 0.3401 0.4420
0.2287 0.7713 0.2500
0.7713 0.2287 0.7500
0.5000 0.5000 0.0000
0.5000 0.5000 0.5000
```

Results
Theoretical density in g/cm3: 8.290
DOS at the Fermi energy in states/eV/cell: 8.50
ΔE_f (raw) in eV/atom: -0.652
Calculated volume in Å³/cell: 139.70



No. 3
BaTl2Co after structural relaxation. Source: Alexandria via LeMat-Bulk, functional GGA-PBE.

Structure (POSCAR):
```
BaTl2Co
1.0
3.2351 -6.0159 0.0000
3.2351 6.0159 0.0000
-1.9612 0.0000 3.0928
Ba Tl Co
1 2 1
direct
0.0000 0.0000 0.0000
0.0000 0.5000 0.5000
0.5000 0.0000 0.5000
0.5000 0.5000 0.0000
```

Results
Theoretical density in g/cm3: 8.345
DFT formation energy in eV per atom: 0.499
DOS at the Fermi energy in states/eV/cell: 5.91
Calculated volume in Å³/cell: 120.39



No. 4
Rb14CdAu after structural relaxation. Source: Alexandria via LeMat-Bulk, functional GGA-PBE.

Structure (POSCAR):
```
Rb14CdAu
1.0
13.2854 0.0000 0.0000
0.0000 6.0867 7.6060
0.0000 -6.0867 7.6060
Rb Cd Au
14 1 1
direct
0.0000 0.0000 0.0000
0.0000 0.4485 0.4485
0.0000 0.5150 0.9330
0.0000 0.9330 0.5150
0.2628 0.2126 0.2126
0.2976 0.8302 0.8302
0.3239 0.3125 0.6851
0.3239 0.6851 0.3125
0.5000 0.0174 0.4657
0.5000 0.4657 0.0174
0.6761 0.3125 0.6851
0.6761 0.6851 0.3125
0.7024 0.8302 0.8302
0.7372 0.2126 0.2126
0.5000 0.0300 0.0300
0.5000 0.3839 0.3839
```

Results
Theoretical density in g/cm3: 2.033
DFT formation energy in eV per atom: -0.010
DOS at the Fermi energy in states/eV/cell: 12.49
Calculated volume in Å³/cell: 1230.11



No. 5
HfAgPd5 after structural relaxation. Source: Alexandria via LeMat-Bulk, functional GGA-PBE.

Structure (POSCAR):
```
HfAgPd5
1.0
3.9528 0.0000 0.0000
0.0000 3.9528 0.0000
0.0000 0.0000 7.8324
Hf Ag Pd
1 1 5
direct
0.0000 0.0000 0.0000
0.5000 0.5000 0.5000
0.0000 0.0000 0.5000
0.0000 0.5000 0.2327
0.0000 0.5000 0.7673
0.5000 0.0000 0.2327
0.5000 0.0000 0.7673
```

Results
Theoretical density in g/cm3: 11.105
DFT formation energy in eV per atom: -0.287
Energy relative to the lowest polymorph listed for this composition in eV/atom: 0.000
-- stop --

【作者】 梁西文

【导师】 郑荣才;

### Unrelated to this text: crystal structures
+++
The following is a DFT calculation (PBE) of crystalline Sm2TlIr at its relaxed geometry.

Unit cell a=5.202 b=5.202 c=5.202 alpha=60.00 beta=60.00 gamma=60.00
Sites, in units of the cell vectors:
Sm 0.250 0.250 0.250
Sm 0.750 0.750 0.750
Tl 0.000 0.000 0.000
Ir 0.500 0.500 0.500

## Properties
DFT formation energy   -39 kJ/mol of atoms
Relative energy among the computed polymorphs   0.130 eV per atom
D(E_F)   0.861 states/eV per atom


DFT (PBE) results for an optimized crystal structure of NdAlRu.

Unit cell a=3.294 b=3.294 c=11.120 alpha=90.00 beta=90.00 gamma=90.00
Space group I4mm (No. 107)
One atom of each set of equivalent atoms:
Nd 0.000 0.000 0.000 [2 per cell]
Al 0.000 0.000 0.280 [2 per cell]
Ru 0.000 0.000 0.682 [2 per cell]

## Properties
V   121 Å³ per cell
ΔH_f (0 K)   -0.3554 eV per atom
Magnetization   0.00 μB/atom
Raw total energy   -6.28 eV per atom


1.
TaIn2P: relaxed, GGA-PBE.

```
4
Lattice="-0.449 2.807 -1.670 -2.094 -1.541 -2.027 -5.856 1.833 4.655" Properties=species:S:1:pos:R:3 pbc="T T T"
In -2.950 1.158 -0.514
In -5.625 1.761 4.472
P -3.289 1.030 2.615
Ta -5.317 1.899 1.367
```

Results
Raw total energy   -0.426 Ry/atom
DOS(E_F)   2.1 states/eV/f.u.
Total magnetic moment   0.000 Bohr magnetons per cell



2.
TaHgBr6: relaxed, GGA-PBE.

```
8
Lattice="7.166 -0.084 -1.152 -1.730 6.421 -2.500 -0.283 -0.942 7.036" Properties=species:S:1:pos:R:3 pbc="T T T"
Hg 2.577 2.697 1.692
Br 0.953 2.277 -0.686
Br 1.383 0.084 2.155
Br 5.272 1.064 0.022
Br 4.201 3.118 4.069
Br -0.119 4.331 3.362
Br 3.770 5.311 1.229
Ta 0.000 0.000 0.000
```

Results
Formation energy without anion corrections   -717.7 meV/atom
DOS(E_F)   2.9 states/eV/f.u.
Total magnetic moment   0.000 Bohr magnetons per cell



3.
Co24Ni5: relaxed, GGA-PBE.

```
29
Lattice="-4.392 3.174 -5.143 2.566 -6.518 -2.597 -3.928 -1.180 6.244" Properties=species:S:1:pos:R:3 pbc="T T T"
Ni -1.552 1.122 -1.817
Ni -3.721 -2.925 -0.967
Ni 0.000 0.000 0.000
Ni 0.907 -2.303 -0.918
Ni -1.388 -0.417 2.207
Co -1.312 -2.300 0.425
Co -2.644 -0.445 -0.063
Co -4.947 -0.486 0.015
Co -2.173 -4.350 1.030
Co -1.825 -0.165 -3.918
Co -3.691 -0.794 -2.232
Co -3.759 0.300 2.119
Co 0.504 -4.945 -1.911
Co -1.478 -3.877 -1.422
Co -3.560 -1.604 3.621
Co -1.546 -2.783 2.928
Co -1.401 -1.467 -1.755
Co -0.384 -6.008 1.808
Co -1.571 -5.033 3.423
Co -3.850 1.121 -3.505
Co -6.009 1.828 -0.251
Co -3.544 -2.179 1.390
Co -5.925 1.032 1.830
Co -2.357 -2.614 -3.509
Co -1.945 -1.512 -5.783
Co 0.293 -4.295 0.425
Co -3.890 1.533 -1.106
Co -0.674 -3.284 -5.318
Co 0.146 -2.909 -3.197
```

Results
Raw total energy   -0.502 Ry/atom
DOS(E_F)   32.3 states/eV/f.u.
Total magnetic moment   41.920 Bohr magnetons per cell


{
  "formula": "MnAlCr2",
  "functional": "PBEsol",
  "state": "optimized geometry",
  "lattice": [[2.858, 0.000, 0.000], [0.000, 4.076, 0.000], [0.000, 0.000, 7.899]],
  "species": ["Mn", "Mn", "Al", "Al", "Cr", "Cr", "Cr", "Cr"],
+++

【作者基本信息】 成都理工大学 , 矿物学、岩石学、矿床学, 2008, 博士

## Next to the entry, the page also holds records of crystals
+++
Below is CeThZnHg after structural relaxation, with properties calculated at the PBE-GGA level.

The structure in POSCAR format:
```
CeThZnHg
1.0
5.3036 0.0000 0.0000
2.6518 4.5931 0.0000
2.6518 1.5310 4.3304
Zn Ce Hg Th
1 1 1 1
Cartesian
0.0000 0.0000 0.0000
2.6518 1.5310 1.0826
5.3036 3.0621 2.1652
7.9555 4.5931 3.2478
```

Results
SG: No. 216
Energy relative to the elements: -0.161 eV per atom

---

Below is CaYPb4 after structural relaxation, with properties calculated at the PBE-GGA level.

The structure in POSCAR format:
```
CaYPb4
1.0
5.8458 0.3179 0.2750
0.5094 5.0652 2.8975
0.1803 -0.1147 6.0897
Ca Y Pb
1 1 4
Cartesian
3.0208 0.1123 3.1603
0.3522 2.4855 4.4715
3.2994 3.4985 3.1127
3.2515 1.7911 6.1057
0.1231 0.8404 1.4664
0.5825 4.1303 7.4763
```

Results
SG: No. 12
E above lowest polymorph: 0 meV per atom
Energy relative to the elements: -0.234 eV per atom

---

Below is CrCuW3 after structural relaxation, with properties calculated at the PBE-GGA level.

The structure in POSCAR format:
```
CrCuW3
1.0
4.4571 0.0000 0.0000
0.0000 4.4571 0.0000
0.0000 0.0000 4.4571
Cr Cu W
1 1 3
Cartesian
2.2285 2.2285 2.2285
0.0000 0.0000 0.0000
0.0000 2.2285 0.0000
0.0000 0.0000 2.2285
2.2285 0.0000 0.0000
```

Results
SG: No. 221
E above lowest polymorph: 483 meV per atom
Energy relative to the elements: 2.116 eV per atom

---

Below is K2MgGeI6 after structural relaxation, with properties calculated at the PBE-GGA level.

The structure in POSCAR format:
```
K2MgGeI6
1.0
8.0362 0.0000 -0.0184
0.0000 8.3716 0.0000
0.0430 0.0000 11.5547
K Mg Ge I
4 2 2 12
Cartesian
0.2379 7.6889 2.8829
4.2775 4.8685 8.6511
7.8414 0.6827 8.6533
3.8018 3.5031 2.8852
4.0396 0.0000 5.7681
0.0000 4.1858 0.0000
4.0181 0.0000 -0.0092
0.0215 4.1858 5.7773
2.4323 5.8157 0.5405
6.4719 6.7417 6.3086
5.6469 2.5559 10.9957
1.6073 1.6299 5.2276
2.5021 5.8672 5.2239
6.5418 6.6902 10.9920
5.5771 2.5044 6.3124
1.5375 1.6814 0.5443
7.2606 4.2992 2.8303
3.2640 8.2581 8.6168
0.8187 4.0723 8.7059
4.8153 0.1135 2.9194
```

Results
SG: No. 14
E_form (uncorrected): -92.8 kJ/mol of atoms

---

Below is TlReSe2 after structural relaxation, with properties calculated at the PBE-GGA level.

The structure in POSCAR format:
```
TlReSe2
1.0
-3.1511 0.6083 0.4271
0.0098 -1.7135 2.5129
2.1968 7.7366 5.1889
Re Se Tl
1 2 1
Cartesian
0.0794 4.8215 5.9899
2.0822 6.0166 6.7929
1.2278 3.0180 4.7599
-1.0239 1.8099 2.1390
```

Results
SG: No. 10
E above lowest polymorph: 237 meV per atom
E_form (uncorrected): 23.1 kJ/mol of atoms

---

Below is Al2CdW after structural relaxation, with properties calculated at the PBE-GGA level.

The structure in POSCAR format:
```
Al2CdW
1.0
-4.1139 -1.2088 -1.6286
-3.2830 -1.4062 2.8779
-3.6514 2.6610 0.7898
Al W Cd
2 1 1
Cartesian
0.0000 0.0000 0.0000
-8.2862 0.0345 1.5294
-2.7621 0.0115 0.5098
-5.5241 0.0230 1.0196
```

Results
SG: No. 216
Energy relative to the elements: 0.610 eV per atom

---
+++

【摘要】 论文运用板块构造理论、沉积学理论、层序地层学的理论和方法,贯彻“构造控盆、盆控相”的研究思路,系统开展了中扬子区沉积体系、层序岩相古地理、盆地类型、层序充填,盆山耦合关系研究,以及中新生代陆相盆地与下伏海相盆地的叠加、改造、并列的关系研究,分析海相油气保存条件单元,剖析晚期构造运动、层序充填对海相盆地成藏的建设性意义和破坏性作用,指出海相盆地有利勘探远景区。1、中新生代沉积体系研究在5条露头剖面实测的基础上,结合钻井、地震资料综合分析,划分出四种沉积体系类型即:冲积扇、河流、三角洲、湖泊沉积体系,建立了可反映沉积体系基本特征和空间展布几何形态的沉积相类型或单元。根据晚三叠世—新近纪沉积演化特点,划分出五种沉积模式:①前陆盆地的扇三角洲—湖底扇组合的二级扇沉积模式;②前陆盆地的冲积扇—三角洲—湖底扇组合的三级扇沉积模式;③断陷型湖盆的冲积扇—河流—三角洲—湖泊沉积模式;④断陷型湖盆冲积扇—扇三角洲—湖泊沉积模式;⑤坳陷型湖盆的河流—三角洲—湖泊沉积模式。2、层序划分和特征研究根据地表露头观察到的不整合面、侵蚀面和沉积间断面,结合古生物、沉积相资料及地震反射波组的上超、下超、削截,明确不整合面时空展布范围,取得如下认识:①上三叠统—新近系共划分3个一级层序、10个二级层序,21个三级层序。②上三叠统—新近系识别出8种层序界面识别标志:古风化壳、区域不整合界面、石英质砾石层、侵蚀及冲刷、较长时间的暴露及钙结壳、相序不连续及相转换面、地震剖面上反射终止现象,如上超、削截等接触关系、古气候转换面。③层序界面形成与构造运动密切相关,根据导致层序界面形成的构造运动特点,层序界面分为五种成因类型:抬升隆起侵蚀不整合、同构造期渐进不整合、造山隆升剥蚀不整合、水下侵蚀切割层序不整合、应力场的转换及古气候变化造成的不整合。④分析了中新生代层序发育控制因素,认为层序发育是构造运动、湖平面升降、沉积作用和气侯四大因素共同作用的结果。3、系统构造—层序岩相古地理编图与研究选择10个二级层序体系域(即盆地扩张体系域和盆地收缩体系域),作为中新生代岩相古地理编图单元,按照“构造控盆、盆控相”思想,首次系统的编制了更具科学性、等时性、成因连续性和勘探实用性的全区构造—层序岩相古地理图。研究区晚三叠世—侏罗纪岩相古地理明显受盆地形成及发展演化制约,现有的资料表明,盆地演化可分为四个阶段,即盆地形成阶段、盆地早期发展阶段、盆地晚期发展阶段、盆地萎缩阶段,不同阶段盆地充填系列特点不同。①盆地形成阶段—河流沉积充填为主,该阶段对应于晚三叠世(即Ts2、Ts3期),盆地处于初始发育阶段,研究区多为互不连通的小型盆地,沉积范围较小,盆地充填系列以河流相、沼泽相为主,湖泊沉积不发育。②盆地早期发展阶段—湖泊、三角洲、河流沉积充填,此阶段对应于早侏罗世(即Ts4期)。印支运动Ⅱ幕之后,研究区总体处于相对强烈坳陷时期,陆源区退缩,陆源碎屑供应相对匮乏,沉积区域明显扩大,出现了较多的湖泊相沉积。③盆地晚期发展阶段—河流相砂泥岩充填为主,此阶段对应于中侏罗世(即Ts5期)。燕山运动Ⅰ幕之后,研究区总体仍处于相对强烈坳陷时期,沉积范围较大,陆源碎屑供应充足,沉积厚度巨大。④盆地萎缩阶段—河流充填为主,此阶段对应于晚侏罗世(即Ts6期)。燕山运动Ⅱ幕之后,荆当盆地以及鄂东一带为隆起区,局部开始裂陷;鄂西渝东一带为坳陷区,接受沉积区域明显缩小,沉积基底强烈坳陷,沉积厚度巨大,以河流相砂泥岩充填为主,以上四个盆地演化阶段与晚三叠世至早白垩世(研究区大部分缺失)盆山耦合反映的前陆盆地三次幕式演化阶段具有较强的对应关系。研究区白垩纪—新近纪层序岩相古地理演化表现为:燕山运动Ⅲ幕、Ⅳ幕,对应构造层序Ts7、Ts8沉积时期,盆地以北西向断陷作用为主,处于亚热带干旱的古气候条件,湖泊类型为宽而浅的氧化型湖泊,沉积物类型以氧化色调为主,暗色泥岩不发育,缺乏生烃能力;物源为多源(以西部为主)、近源碎屑物质,由盆缘至中心构成冲积扇—河流—三角洲—氧化型滨浅湖的沉积体系。几条北西向展布断裂前缘为几个大的沉降带,缺乏统一的沉积中心。燕山运动Ⅴ幕,对应构造层序Ts9、Ts10沉积时期,发育多期断拗旋回:旋回早期以断陷作用为主,中晚期以拗陷作用为主,盆地整体上处于中亚热带半干旱干—湿交替的气候条件,湖泊类型为浅水—(半)深水的弱氧化—还原性湖泊,发育浅湖—(半)深湖沉积,暗色泥岩发育,是盆地两套主力烃源岩发育的时期;整体上以北部物源为主,也存在东北部物源。断陷期,当物源与断裂方向垂直时,受断裂的控制而发育水下扇—扇三角洲—湖泊沉积;坳陷期,发育河流—三角洲—湖泊沉积。同时,由于古地形和物源的作用,导致沉积相带在南、北两侧呈不对称分布,砂岩呈现北厚南薄的分布格局,盆地南部为统一的沉积中心。该期是江汉盆地两套主要勘探目的层—新沟咀组下段和潜江组发育的时期。喜山期,对应构造层序Ts11沉积时期,渐新世末期的喜山运动,盆地整体抬升遭受剥蚀,结束裂陷盆地发育史。新近系中新统,在区域重力均衡作用下,盆地进入缓慢的拗陷沉降期,主要的沉降中心位于潜北洼陷。主要发育河流相沉积。4、中新生代沉积演化(盆山耦合)与物质响应关系研究论文通过晚三叠世-新近纪的层序地层格架、层序岩相古地理分析、沉积物组合、岩石学特征、沉降史分析来揭示盆地构造作用过程、盆缘造山带构造作用过程及盆地沉积物质充填过程。首次系统的揭示了自印支期以来,中扬子区盆山演化过程;①早三叠世(含晚二叠世)至中三叠世记录了扬子北缘由大陆边缘盆地转变为残留海盆地,反映印支期华北(秦岭)板块与扬子板块之间软碰撞,研究区碰撞未造山的过程;②晚三叠世至早白垩世(研究区部分缺失)记录前陆(磨拉石)盆地的三次幕式演化阶段,反映华北(秦岭)板块与扬子板块之间早燕山期呈斜向陆、陆碰撞,前展逆冲推隆造山作用幕(脉动)式过程;研究表明造山带和前陆盆地具有很好的耦合关系,主要表现在造山带的隆升过程和盆地的沉降历史、地层的剥蚀和充填的沉积物、地层的不整合分布与造山带的迁移规律、构造沉降速率与地层堆积方式等方面均具有对应关系。概括起来,前陆盆地沉积充填特征是造山带的形成演化和前陆盆地沉降的结果。③晚白垩世至古近纪前陆盆地改造与裂陷盆地发育阶段,构造背景发生重大变化,受到郯-庐断裂强烈活动、中国东部软流圈物质上涌以及推隆造山造成加厚的岩石圈因重力失稳等因素,形成快速均衡隆升、走滑块断隆陷构造以及一系列反转伸展断陷盆地。5、中扬子区中新生代盆地与下伏海相盆地叠加、改造、并列的关系,为我们深入认识海相油气成藏规律,分析海相盆地油气勘探前景,优选海相油气勘探区提供了依据,这一分析思路遵循:“构造控盆、盆控相”的思想,同时把层序充填的动态分析过程应用于油气勘探保存条件与勘探前景分析中。中新生代盆地与古生代盆地的叠覆关系划分为5类:①连续型覆盖;②早期暴露型覆盖;③晚期暴露型覆盖;④间断暴露型覆盖;⑤持续暴露型覆盖。根据叠覆关系,划分出四种含油气保存条件单元,即持续型、重建型(沉积重建型)、重叠型、剥蚀残余型。鄂西渝东区与秭归盆地区划分为持续型含油气保存条件单元,江汉平原南部区划分为持续型—重建型含油气保存条件单元,大洪山弧形构造带划分为重叠型含油气保存条件单元,江汉平原南部与大洪山弧形构造带之间的区域为持续型—剥蚀残留型含油气保存条件单元、湘鄂西区为剥蚀残留型含油气保存叠加单元。6、通过深入研究认为,在中扬子地区现今构造面貌复杂,海相勘探构造圈闭与成油气期不是十分配套的条件下,主要含油气领域应当是大面积稳定地块圈闭构造,古隆起周缘区,逆冲推复构造带的逆掩原地体,以及上、下构造极不协调形成的潜伏构造圈闭等。优选鄂西渝东褶皱带;秭归盆地区;古隆起周缘区,包括宜都—鹤峰复背斜的北部、当阳复向斜的南部;江汉盆地南部作为前四个层次的海相油气勘探远景区。

【Abstract】 Based on the theories and methods of plate tectonic theory and sedimentology,following the research idea of "the structure controlling the basin" and "the basin controlling the facies", this paper studies systematically the basin types,sequence filling,basin-mountain coupling relations,and the superimposition,reform,and juxtaposition relations between Meso-Cenozoic continental basins and underlying marine facies basins,analyzes the preservation condition units of marine facies hydrocarbon,dissects the constructive meaning and disruptive effect of later structural movement and sequence filling on the reservoir formation in marine facies basins,and points out the favorable prospect area in marine facies basins,The detailed study results are as follows..1.A systematic study of Meso-Cenozoic depositional systemsOn the basis of 5 measured outcrop profiles,combined with the comprehensive analysis of drilling and seismic data,four depositional systems,i.e.,the alluvial fan,fluvial,Delta,and lacustrine depositional systems are classified,the facies types or units which can reflect the essential characteristics and spatial distribution geometry of depositional systems are established.According to the depositional evolution features of Late Triassic-Neogene,it can be divided into five depositional modes.①the secondary fan depositional mode with the combination of fan delta and sublacustrine fan in the foreland basin;②the tertiary fan depositional mode with the combination of alluvial fan,delta and sublacustrine fan;③the alluvial fan-fluvial-lacustrine depositional mode of rifted lake basin;④the alluvial fanfan deltas - lacustrine depositional mode;⑤and the fluvial-delta-lacustrine depositional mode of depressed lake basin.2.Sequence division and their characteristicsAccording to the unconformities,erosion surfaces,and hiatus surfaces observed on surface outcrops,combined with the palaeontologic and depositional faices data,as well as the phenomena of onlap,downlap and truncation in seismic reflection wave groups,the space-time distribution range of unconformities is clarified as shown in the following①The Upper Triassic-Neogene of the middle Yangtze area can be divided into 3 primary sequences,10 secondary sequences,and 21 tertiary sequences.②The formation of sequence boundaries is closely related to the tectonic movement.According to the features of tectonic movement resulting in the formation of sequence boundaries,the sequence boundaries can be classified into the following genetic types:the uplift erosion unconformity,the syntectonic progressive unconformity,the orogenic uplift erosion unconformity,the subaqueous corrosion unconformity,and the stress field transformation or palaeoclimate alternation-incurred unconformity.③Ten identification marks of sequence boundary are identified in the Upper Triassic-Neogene of the work area:the paleocrust of weathering,the regional unconformity boundary,the cherty gravel bed,the erosion and scouring,the long-time exposure and kalkkruste,the discontinuous facies sequence or facies transform interface,and the ending phenomena on seismic profiles,such as the contact relations,e.g.,onlap and truncation,and palaeoclimate transform interface.④The factors controlling over the development of Meso-Cenozoic sequences in middle Yangtze area are analyzed.It is considered that the sequence development is the result of the synergic effect of four factors,i.e.,tectonic movement,lake level rise,deposition and climate3.Mapping and study of the lithofacies palaeogeography of structures and sequences for the systemTen system tracts(basin extension system tract and basin shrinkage system tract)of secondary sequences are selected to serve as the compilation units for the mapping of Meso-Cenozoic lithofacies palaeogeography.According to the idea of "the structure controlling the basin" and "the basin controlling the facies",the lithofacies paleographic map of structures and sequences of the whole area,which is more scientific,more isochronous, more continuous in origin,and more practical in exploration,is compiled for the first time(Innovation point).In the study area,the lithofacies paleography of the Late Triassic-Jurassic is associated with development and evolution of the basin.Available data indicate that the basin evolution can be divided into 4 stages,namely origination,early development,late development and abortion stages,which have different filling features from each other.①During the basin origination,fluvial filling was dominant.This stage is considered to correspond to Late Triassic when the Sequences TS2 and TS3 were deposited.During this stage,the basin consists of small isolated basins,which were small,fluvial and swamp-dominated,with undeveloped lacustrine deposits.②Early basin development stage—when lacustrine, deltaic and fluvial filling were deposited.It corresponds to the period when the Sequence TS4 was deposited.Since the episodeⅡof the Indosinian Movement,the Middle Yangtze Plate depressed entirely,with significantly widened sedimentary extent.The aborted provenance supplied relatively absent detrital material of terrigenous origin,resulting in much lacustrine deposits due to differentiation in paleogeography.③During the late basin development, fluvial sandstone-mudstone filling was dominant,which corresponds to the period when the Sequence TS5 was deposited.Since the EpisodeⅠof the Yansanian Movement,the Middle Yangtze Area has been in an intensive depression stage,with abundant detrital material of terrigenous origin supplied and deposited with great thicknesses.④During the basin abortion, fluvial filling was dominant.This stage corresponds to the period when the Sequence TS6 was deposited.During this stage,the Jinmen-Dangyang and Qianjiang-Eastern Hubei trend was in an uplift area,except for the Western Hubei- Eastern Chongqin-Zhigui Basin trend in a depression area.During this stage,the deposition area is significantly reduced,with the basement intensively depressed,and very thick deposits dominated by fluvial sandstone-mudstones.In the study area,evolution of the lithofacies paleography of the Cretaceous-Neogene sequence is characterized by NW-trending fault-depression in the basin during the episodesⅢandⅣof the Yanshanian Movement when the Sequences Ts7 and Ts8 were deposited, as well as by the arid paleoclimate of the subtropical zone,with wide,shallow,oxidized lakes, where deposits in oxidized colors were dominant,with undeveloped dark mudstones,less potential for hydrocarbon generation.The deposits consist of polyenic(mostly in the west) and proximal detrital material,including alluvial-fluvial-deltaic-oxidized shore neritic deposits from margin to center of the basin.Several NW-trending fault fronts represent great subsidence zones in absence of a common depocentre.During the episodeⅤof the Yanshan Movement when the Sequences Ts9 and Ts10 were deposited,multi-period fault-depression cycles occurred,which can be divided into the early cycle dominated by fault depression,and mid- late cycle was dominated by depression, when the entire basin was in hemi-arid,arid alternative with humid climate in the mid subtropical zone,with neritic-(hemi)abyssal deposits,including well-developed dark mudstones.This stage represents a main period when the two main source rocks were developed.Himalayan when the Sequence Ts11 was deposited.During the Himalayan Movement of the latest Oligocene,the basin was entirely uplifted and eroded,representing the end of the rift-depression basin development.During the Miocene of the Neogene,the basin was in a slow depression and subsidence period,with the subsidence center in the North Qianjiang sag, where fluvial deposits were deposited. 4.Study of the basin - mountain coupling and material response relations of Meso-CenozoicBased on the analyses of sequence stratigraphy framework,sequence lithofacies palaeogeography,sediment combination,and subsidence history of Late Triassic Late Triassic -Neogene,this paper explains the tectonic action process of basin,the tectonic action process of the orogenic belt of basinal margin,and the filling process of basinal sediments. and reveals the evolutionary process of basins and mountains in the middle Yangtze region since Indo Chinese for the first time;①Early Triassic(including Late Permian)to Middle Triassic recorded the transformation of the northern margin of Yangtze from a continental margin basin to a residual marine basin,reflected the soft collision between North China(Qin Ling)plate and Yangtze plate in Indo-Chinese epoch,and showed the process of collision in the study area without orogenesis;②Late Triassic to Early Cretaceous(partly nonsequential in the study area)recorded the three episodic evolutionary phases in the foreland(Molasse) basin,reflected the oblique land - land collision between North China plate(Qin Ling)and Yangtze plate in Early Yanshanian,and the episodic(pulse)process of orogenesis by advance thrust uplifting;The study indicates that there is a good coupling relation between the orogenic belt and the foreland basin,which is characterized mainly by the coincidence relations in the following points:the uplifting process of the orogenic belt and the subsidence history of the basin,the stratigraphic denudation and the sedimentary fills,the stratigraphic unconformity distribution and the shifting regularity of the orogenic belt,the tectonic subsidence rate and the accumulation style of formations.In summary,the sedimentary filling characteristics of the foreland basin are resulted form the formation and evolution of the orogenic belt and the subsidence of the foreland basin.③In the stage of foreland basin reform and rifted basin development from Late Cretaceous to Paleogene,the structural setting underwent significant changes.Affected by a lot of factors such as the intense activity of Yan-Lu fault,the material upwelling of asthenosphere in eastern China,and the instability of the thrust uplifting-induced thickened lithosphere because of gravity,there formed some rapidly and evenly uplifted and strike-slip uplifted or depressed structures,as well as a series of reversed extension downfaulted basins(Innovation point).5.The relationships of superposition,reform,and juxtaposition between Meso-Cenozoic basins and underlying marine facies basins in middle Yangtze region provides us with foundations for the analysis of the regularities of marine facies reservoir formation,the analysis of oil and gas exploration prospects in marine facies basins,and the optimization of marine facies oil and gas exploration districts.The analysis follows the idea of "the structure controlling the basin" and "the basin controlling the facies",and applies the dynamic analysis process of sequence filling into the analysis of the preservation conditions and exploration prospects for oil and gas exploration The superposition relations for Meso-Cenozoic basins and Palaeozoic basins can be divided into 5 types:①the successive coverage;②the earlier exposed coverage;③the later exposed coverage;④the discontinuously exposed coverage; and⑤the continuously exposed coverage.According to the superposition relations,four oil/gas preservation condition units are classified for Middle Yangtze region,i.e.,the successive type,the reconstruction(sedimentary reconstruction)type,the superposition type, and the post-eroded relic type.The region of Western Hubei and Eastern Chongqing and the region of Zigui Basin belong in the type of successive oil/gas preservation condition unit;The southern part of Jianghan Plain,the successive type - the reconstruction type of oil/gas preservation condition unit;The arc structure belt of Dahongshan Mountain,the superposition type of oil/gas preservation condition unit;The area between the southern part of Jianghan Plain and the arc structure belt of Dahongshan Mountain,the sucessive typepost-eroded relic type of oil/gas preservation condition unit;And the Western Hunan and Hubei,the post-eroded preservation condition type of superposed oil/gas units(Innovation point).6.Through the in depth study,it is considered that in the cases of complex structural features and not fully matched conditions for the marine facies exploration structural traps and oil/gas formation time,the main oil/gas-bearing areas must be the trap structures in the large sized epeirocratic craton,the periphery area of the palaeohigh,the thrusting in-place geologic body in the structural belt of thrusting and overriding,and the buried structural traps formed due to severe inconsistency between upper and lower structures.Four levels of areas are selected as the marine facies oil and gas exploration prospects,i.e.,the folded belt of Western Hubei and Eastern Chongqing,the basinal area of Zigui,the periphery area of the palaeohigh(including the northern part of Yidu-Hefeng anticlinorium,and the southern part of Dangyang synclinorium),and the southern part of Jianghan Basin.

  • 【分类号】P531
  • 【被引频次】2
  • 【下载频次】936

